[Brief]
Duplicate the lines underneath from the first line to the one with "-0.0633" word for word.

[Data]
'''
1.
Density functional theory data (the ωB97M-V functional and the def2-TZVPD basis) for one molecule with the formula C18H20FN3O4.

Each line ends with the Löwdin charge.
Geometry (Å):
1 C 1.84 -2.74 1.61  -0.0092
2 H 1.18 -2.07 2.16  0.0886
3 H 1.47 -3.76 1.71  0.0872
4 H 2.83 -2.69 2.05  0.0879
5 C 1.90 -2.34 0.14  -0.2769
6 N 2.47 -1.01 0.00  0.0024
7 C 3.79 -0.85 -0.20  0.0422
8 C 4.40 0.36 -0.24  -0.0241
9 C 3.64 1.58 -0.04  -0.2977
10 O 4.15 2.71 -0.03  0.0403
11 C 2.21 1.37 0.16  -0.0573
12 C 1.37 2.47 0.37  0.0741
13 C 0.03 2.28 0.54  -0.1799
14 C -0.61 1.02 0.43  -0.0722
15 N -1.97 0.94 0.55  -0.0656
16 C -2.69 -0.26 0.92  -0.1263
17 H -2.03 -0.94 1.45  0.1211
18 C -3.30 -0.95 -0.31  -0.1662
19 N -4.14 -0.07 -1.09  -0.2271
20 C -5.47 0.13 -0.55  -0.0968
21 H -6.04 0.72 -1.27  0.0852
22 H -5.50 0.64 0.42  0.0778
23 H -5.96 -0.84 -0.45  0.0847
24 C -3.43 1.15 -1.40  -0.1646
25 H -4.10 1.83 -1.93  0.1197
26 C -2.84 1.85 -0.17  -0.1246
27 H -2.30 2.74 -0.49  0.1183
28 H -3.64 2.17 0.51  0.1256
29 H -2.61 0.88 -2.08  0.1260
30 H -3.89 -1.82 0.01  0.1210
31 H -2.49 -1.30 -0.95  0.1139
32 H -3.49 0.05 1.60  0.1250
33 C 0.25 -0.08 0.25  -0.0957
34 C 1.64 0.08 0.15  -0.0579
35 O -0.30 -1.34 0.15  -0.0679
36 C 0.51 -2.29 -0.49  -0.1209
37 H -0.01 -3.24 -0.39  0.1416
38 H 0.60 -2.04 -1.56  0.1466
39 F -0.72 3.37 0.83  0.0639
40 H 1.81 3.45 0.44  0.1365
41 C 5.87 0.40 -0.51  -0.5072
42 O 6.50 -0.62 -0.69  0.0867
43 O 6.43 1.59 -0.52  0.1280
44 H 5.73 2.29 -0.34  0.0843
45 H 4.38 -1.74 -0.33  0.1523
46 H 2.53 -3.05 -0.41  0.1570

Computed properties:
E_HOMO ... -7.9 eV
Net charge ... 0
Energy ... -34368.949 eV
Energy above the lowest of the compared OMol25 structures with the same formula, charge and spin ... 30.69 kcal per mole

***

2.
Density functional theory data (the ωB97M-V functional and the def2-TZVPD basis) for a 2-piece molecular cluster, C18H20N2O2 overall.

Each line ends with the Löwdin charge.
Geometry (Å):
1 C -4.18 -0.77 -0.37  -0.0196
2 N -2.88 -1.43 -0.40  -0.1823
3 C -2.83 -2.87 -0.18  -0.0269
4 C -1.78 -0.73 -0.65  -0.0219
5 C -0.48 -1.26 -0.64  -0.0539
6 C 0.61 -0.59 -1.18  0.0314
7 C 1.93 -1.14 -1.21  -0.2202
8 C 2.86 -0.75 -2.21  -0.0088
9 C 4.11 -1.35 -2.30  -0.0599
10 C 4.49 -2.35 -1.39  -0.0510
11 C 3.59 -2.74 -0.38  -0.0661
12 C 2.33 -2.15 -0.29  -0.0164
13 H -4.95 -1.54 -0.30  0.0879
14 H -4.26 -0.08 0.48  0.1069
15 H -4.32 -0.18 -1.29  0.1030
16 H -3.87 -3.22 -0.14  0.0887
17 H -2.30 -3.37 -1.00  0.1059
18 H -2.33 -3.12 0.76  0.1071
19 H -1.93 0.33 -0.90  0.1556
20 H -0.34 -2.27 -0.24  0.1006
21 H 0.44 0.36 -1.69  0.1333
22 H 2.56 0.04 -2.90  0.1251
23 H 4.81 -1.03 -3.08  0.1107
24 H 5.47 -2.82 -1.45  0.1070
25 H 3.88 -3.50 0.35  0.1072
26 H 1.63 -2.44 0.49  0.1115
27 C 1.51 1.63 1.46  -0.0610
28 N 2.36 1.74 0.39  -0.4355
29 O 3.50 1.18 0.42  -0.0869
30 O 2.01 2.40 -0.64  -0.1064
31 C 0.23 2.27 1.52  -0.2245
32 C -0.28 3.06 0.46  -0.0566
33 C -1.52 3.69 0.59  -0.1115
34 C -2.28 3.54 1.75  -0.1362
35 C -1.80 2.73 2.80  -0.1246
36 C -0.57 2.10 2.69  -0.0681
37 H 1.90 1.07 2.30  0.1106
38 H 0.32 3.16 -0.43  0.0761
39 H -1.88 4.30 -0.24  0.0935
40 H -3.24 4.05 1.86  0.0843
41 H -2.39 2.59 3.71  0.0919
42 H -0.16 1.47 3.48  0.1000

Computed properties:
E_HOMO ... -5.9 eV
Net charge ... 0
Energy ... -26060.135 eV
Energy above the lowest of the compared OMol25 structures with the same formula, charge and spin ... 170.09 kcal per mole

***

3.
Density functional theory data (the ωB97M-V functional and the def2-TZVPD basis) for one molecule with the formula C18H20N2O2.

Each line ends with the Löwdin charge.
Geometry (Å):
1 N 1.45 -1.09 0.04  0.0496
2 O 2.67 0.38 -3.74  -0.0215
3 O 2.91 1.43 -1.08  -0.0293
4 C 1.01 -1.88 0.91  -0.1445
5 C 2.54 4.01 -4.18  -0.1255
6 C 2.47 4.49 -2.93  -0.1128
7 C 2.54 2.66 -4.51  0.0194
8 C 2.48 3.57 -1.93  -0.0192
9 C -0.83 -2.68 2.36  0.0174
10 C -1.21 -0.93 0.68  -0.0633
11 C -2.16 -2.37 2.79  -0.0343
12 C -2.47 -0.82 1.08  -0.0285
13 C 2.62 1.71 -3.44  -0.2019
'''

[Outcome]
1.
Density functional theory data (the ωB97M-V functional and the def2-TZVPD basis) for one molecule with the formula C18H20FN3O4.

Each line ends with the Löwdin charge.
Geometry (Å):
1 C 1.84 -2.74 1.61  -0.0092
2 H 1.18 -2.07 2.16  0.0886
3 H 1.47 -3.76 1.71  0.0872
4 H 2.83 -2.69 2.05  0.0879
5 C 1.90 -2.34 0.14  -0.2769
6 N 2.47 -1.01 0.00  0.0024
7 C 3.79 -0.85 -0.20  0.0422
8 C 4.40 0.36 -0.24  -0.0241
9 C 3.64 1.58 -0.04  -0.2977
10 O 4.15 2.71 -0.03  0.0403
11 C 2.21 1.37 0.16  -0.0573
12 C 1.37 2.47 0.37  0.0741
13 C 0.03 2.28 0.54  -0.1799
14 C -0.61 1.02 0.43  -0.0722
15 N -1.97 0.94 0.55  -0.0656
16 C -2.69 -0.26 0.92  -0.1263
17 H -2.03 -0.94 1.45  0.1211
18 C -3.30 -0.95 -0.31  -0.1662
19 N -4.14 -0.07 -1.09  -0.2271
20 C -5.47 0.13 -0.55  -0.0968
21 H -6.04 0.72 -1.27  0.0852
22 H -5.50 0.64 0.42  0.0778
23 H -5.96 -0.84 -0.45  0.0847
24 C -3.43 1.15 -1.40  -0.1646
25 H -4.10 1.83 -1.93  0.1197
26 C -2.84 1.85 -0.17  -0.1246
27 H -2.30 2.74 -0.49  0.1183
28 H -3.64 2.17 0.51  0.1256
29 H -2.61 0.88 -2.08  0.1260
30 H -3.89 -1.82 0.01  0.1210
31 H -2.49 -1.30 -0.95  0.1139
32 H -3.49 0.05 1.60  0.1250
33 C 0.25 -0.08 0.25  -0.0957
34 C 1.64 0.08 0.15  -0.0579
35 O -0.30 -1.34 0.15  -0.0679
36 C 0.51 -2.29 -0.49  -0.1209
37 H -0.01 -3.24 -0.39  0.1416
38 H 0.60 -2.04 -1.56  0.1466
39 F -0.72 3.37 0.83  0.0639
40 H 1.81 3.45 0.44  0.1365
41 C 5.87 0.40 -0.51  -0.5072
42 O 6.50 -0.62 -0.69  0.0867
43 O 6.43 1.59 -0.52  0.1280
44 H 5.73 2.29 -0.34  0.0843
45 H 4.38 -1.74 -0.33  0.1523
46 H 2.53 -3.05 -0.41  0.1570

Computed properties:
E_HOMO ... -7.9 eV
Net charge ... 0
Energy ... -34368.949 eV
Energy above the lowest of the compared OMol25 structures with the same formula, charge and spin ... 30.69 kcal per mole

***

2.
Density functional theory data (the ωB97M-V functional and the def2-TZVPD basis) for a 2-piece molecular cluster, C18H20N2O2 overall.

Each line ends with the Löwdin charge.
Geometry (Å):
1 C -4.18 -0.77 -0.37  -0.0196
2 N -2.88 -1.43 -0.40  -0.1823
3 C -2.83 -2.87 -0.18  -0.0269
4 C -1.78 -0.73 -0.65  -0.0219
5 C -0.48 -1.26 -0.64  -0.0539
6 C 0.61 -0.59 -1.18  0.0314
7 C 1.93 -1.14 -1.21  -0.2202
8 C 2.86 -0.75 -2.21  -0.0088
9 C 4.11 -1.35 -2.30  -0.0599
10 C 4.49 -2.35 -1.39  -0.0510
11 C 3.59 -2.74 -0.38  -0.0661
12 C 2.33 -2.15 -0.29  -0.0164
13 H -4.95 -1.54 -0.30  0.0879
14 H -4.26 -0.08 0.48  0.1069
15 H -4.32 -0.18 -1.29  0.1030
16 H -3.87 -3.22 -0.14  0.0887
17 H -2.30 -3.37 -1.00  0.1059
18 H -2.33 -3.12 0.76  0.1071
19 H -1.93 0.33 -0.90  0.1556
20 H -0.34 -2.27 -0.24  0.1006
21 H 0.44 0.36 -1.69  0.1333
22 H 2.56 0.04 -2.90  0.1251
23 H 4.81 -1.03 -3.08  0.1107
24 H 5.47 -2.82 -1.45  0.1070
25 H 3.88 -3.50 0.35  0.1072
26 H 1.63 -2.44 0.49  0.1115
27 C 1.51 1.63 1.46  -0.0610
28 N 2.36 1.74 0.39  -0.4355
29 O 3.50 1.18 0.42  -0.0869
30 O 2.01 2.40 -0.64  -0.1064
31 C 0.23 2.27 1.52  -0.2245
32 C -0.28 3.06 0.46  -0.0566
33 C -1.52 3.69 0.59  -0.1115
34 C -2.28 3.54 1.75  -0.1362
35 C -1.80 2.73 2.80  -0.1246
36 C -0.57 2.10 2.69  -0.0681
37 H 1.90 1.07 2.30  0.1106
38 H 0.32 3.16 -0.43  0.0761
39 H -1.88 4.30 -0.24  0.0935
40 H -3.24 4.05 1.86  0.0843
41 H -2.39 2.59 3.71  0.0919
42 H -0.16 1.47 3.48  0.1000

Computed properties:
E_HOMO ... -5.9 eV
Net charge ... 0
Energy ... -26060.135 eV
Energy above the lowest of the compared OMol25 structures with the same formula, charge and spin ... 170.09 kcal per mole

***

3.
Density functional theory data (the ωB97M-V functional and the def2-TZVPD basis) for one molecule with the formula C18H20N2O2.

Each line ends with the Löwdin charge.
Geometry (Å):
1 N 1.45 -1.09 0.04  0.0496
2 O 2.67 0.38 -3.74  -0.0215
3 O 2.91 1.43 -1.08  -0.0293
4 C 1.01 -1.88 0.91  -0.1445
5 C 2.54 4.01 -4.18  -0.1255
6 C 2.47 4.49 -2.93  -0.1128
7 C 2.54 2.66 -4.51  0.0194
8 C 2.48 3.57 -1.93  -0.0192
9 C -0.83 -2.68 2.36  0.0174
10 C -1.21 -0.93 0.68  -0.0633